Data
-- begin --
This record from the Materials Project describes a geometry-optimized TbGa3 structure. The functional is PBE.

Summary:
The calculation puts the calculated total energy at -3.97 eV per atom. For the formation energy, the calculation gives -0.541 eV per atom.

Cell and atoms, written as extended XYZ:
```
4
Lattice="4.287 0.000 0.000 0.000 4.287 0.000 0.000 0.000 4.287" Properties=species:S:1:pos:R:3 pbc="T T T"
Ga 2.143 0.000 2.143
Tb 0.000 0.000 0.000
Ga 0.000 2.143 2.143
Ga 2.143 2.143 0.000
```

----------

Record 1
VASP calculation (GGA+U) on a relaxed structure of CuNi2P2O8.

## Properties
DFT formation energy = -2.027 eV/atom
mass density = 4.20 g cm⁻³
crystal system = monoclinic

abc: 4.7305 9.5785 7.9845
angles: 90.00 125.84 90.00
Last column: nearest neighbours and their distance in Å.
Space group P2_1/c (No. 14)
Asymmetric unit:
Cu 0.0000 0.0000 0.0000 (multiplicity 2)  4 O 1.96-2.04
Ni 0.1748 0.1256 0.6482 (multiplicity 4)  5 O 2.03-2.08
P 0.3396 0.6762 0.3503 (multiplicity 4)  4 O 1.53-1.57
O 0.0839 0.5824 0.1600 (multiplicity 4)  1 P 1.56
O 0.2152 0.6726 0.8253 (multiplicity 4)  1 P 1.53
O 0.2982 0.1758 0.1149 (multiplicity 4)  1 P 1.57
O 0.3873 0.6112 0.5461 (multiplicity 4)  1 P 1.57

***

Record 2
VASP calculation (GGA+U) on a relaxed structure of Ti3CuNi2P6O24.

## Properties
DFT formation energy = -2.642 eV/atom
mass density = 3.37 g cm⁻³
crystal system = trigonal

abc: 8.6243 8.6243 20.5412
angles: 90.00 90.00 120.00
Last column: nearest neighbours and their distance in Å.
Space group R3 (No. 146, hexagonal axes)
Asymmetric unit:
Ti 0.0000 0.0000 0.0000 (multiplicity 3)  6 O 1.90-2.05
Ti 0.0000 0.0000 0.2127 (multiplicity 3)  6 O 1.88-2.02
Ti 0.0000 0.0000 0.5027 (multiplicity 3)  6 O 1.88-2.08
Cu 0.0000 0.0000 0.7132 (multiplicity 3)  6 O 1.97-2.15
Ni 0.0000 0.0000 0.3564 (multiplicity 3)  6 O 2.15-2.17
Ni 0.0000 0.0000 0.8549 (multiplicity 3)  6 O 2.10-2.17
P 0.0005 0.2964 0.6095 (multiplicity 9)  4 O 1.50-1.57
P 0.0007 0.7041 0.1074 (multiplicity 9)  4 O 1.52-1.56
O 0.0047 0.2084 0.6717 (multiplicity 9)  1 P 1.50
O 0.0091 0.1766 0.2796 (multiplicity 9)  1 P 1.57
O 0.0191 0.8311 0.7858 (multiplicity 9)  1 P 1.52
O 0.0212 0.8230 0.1670 (multiplicity 9)  1 P 1.55
O 0.1469 0.6733 0.7132 (multiplicity 9)  1 P 1.55
O 0.1480 0.4748 0.2150 (multiplicity 9)  1 P 1.56
O 0.1684 0.4864 0.5983 (multiplicity 9)  1 P 1.57
O 0.1717 0.6873 0.0988 (multiplicity 9)  1 P 1.56

***

- The highest DFT formation energy belongs to which entry?
  CuNi2P2O8

----------

No. 1
Entry from Materials Project: a relaxed SnC4N3O7 crystal (GGA-PBE).

Properties
E (MP2020)   -7.263 eV per atom
DFT total energy   -431.301 eV per cell
Size of the total moment   4.0 Bohr magnetons per cell
Formation energy from the elements   -559 meV/atom
Space-group type   P-1, No. 2

a = 8.2981 Å, b = 12.1458 Å, c = 12.2341 Å
α = 83.11°, β = 88.89°, γ = 86.72°
Positions (direct):
N  0.3455  0.3450  0.4892
O  0.3363  0.1064  0.7462
O  0.0396  0.7263  0.3938
O  0.4977  0.1521  0.7371
O  0.9604  0.2737  0.6062
O  0.4792  0.0645  0.3620
Sn  0.6935  0.0564  0.6889
C  0.3322  0.4242  0.5695
C  0.0101  0.7264  0.7080
O  0.6637  0.8936  0.2538
N  0.9427  0.8030  0.1122
O  0.5208  0.9355  0.6380
C  0.6678  0.5758  0.4305
N  0.0957  0.6170  0.9391
O  0.5687  0.9502  0.8752
O  0.4364  0.7272  0.0345
C  0.4696  0.3472  0.9402
N  0.0107  0.2903  0.8982
C  0.4204  0.0074  0.0340
O  0.2922  0.9781  0.9965
O  0.4313  0.0498  0.1248
C  0.5304  0.6528  0.0598
O  0.9084  0.3331  0.3415
N  0.6545  0.6550  0.5108
O  0.6251  0.5782  0.0827
N  0.6474  0.5441  0.3417
O  0.9264  0.7872  0.7552
C  0.6444  0.5993  0.7935
C  0.5796  0.9926  0.9660
O  0.2659  0.4780  0.1826
C  0.9899  0.2736  0.2920
O  0.7078  0.0219  0.0035
O  0.0916  0.6669  0.6585
O  0.0842  0.1267  0.5206
O  0.3749  0.4218  0.9173
C  0.3556  0.4007  0.2065
Sn  0.3149  0.9412  0.8117
O  0.3500  0.9024  0.5063
C  0.0434  0.6663  0.0097
N  0.9893  0.7097  0.1018
C  0.9566  0.3337  0.9903
O  0.4433  0.3223  0.2305
-- stop --
To do
Your job: search the contents further above for the word "Space" and give back each line that has it.
Reply
Space group P2_1/c (No. 14)
Space group R3 (No. 146, hexagonal axes)